Hello RSCRevolution family! Have you noticed that there was a ring slot in the equipment tab, but until now you couldn't use it?
Well everyone, it's time to get your bling on... We're very excited to announce that we have added twelve (12) enchanted rings into the world of rscrevolution!

Rings, rings, rings!
The first five (5) new rings are the enchanted versions of the classic gem rings you have been converting to coins for the last fifteen years. Cast the gem jewelry enchantment spell (formerly "enchant amulet") to empower them. Their names and abilities are as follows:
Ring of Reflection (enchanted Sapphire ring)
a) Chance of dealing 10% damage taken by wearer back to enemy (excludes poison/environmental)
b) Odds of reflecting: (Enemy's hits stat level / 100)
c) Disappears after dealing 24 damage total

Ring of Resistance (enchanted Emerald ring)
a) 33% chance of blocking spell damage taken
b) Disappears after blocking 24 damage

Ring of Embers (enchanted Ruby ring)
a) Never fail iron smelting or cooking
b) Disappears after 50 uses

Ring of Life (enchanted Diamond ring)
a) Automatically teleport wearer to respawn location once reaching 10% of total hits stat or less.
b) Will not work in wilderness or any type of PvP.
c) Disappears after one use

Ring of Riches (enchanted Dragonstone ring)
a) Automatically pick up all stackables from killing NPCs under you
c) 50 kills before destructing

The final seven (7) rings, however, are only obtainable as rare drops from high level NPCs like the KBD or better yet, the Reaper. As such they are highly sought after. The rare ring drops are: Black ring, Scaly ring, Horned ring, Luminous ring, Arrowhead ring, and Sacred ring. They must be enchanted by a specific NPC to unlock the fullest potential of the ring. These powerful rings are:
Mage's Ring (enchanted Luminous ring)
a) Increases spell strength by +1, and spell accuracy by +4
b) Enchanted by Head Wizard (Yanille)

Archer's Ring (enchanted Arrowhead Ring)
a) +2 ranged bonus (basically on par with mage's ring)
b) Enchanted by Lowe (Varrock)

Dragonslayer Ring (enchanted Scaly ring)
a) Anti-dragonbreath properties
b) Enchanted by the Oracle (Oracle mountain West of Edgeville)

Demonslayer Ring (enchanted Horned ring)
a) 50% chance of +9 weaponpower melee attack against demons
b) Enchanted by Traiborn (Draynor Wizard Tower)

_Misplaced materials data_
____________
(1)
Pm3Ge2Rh5: simulated X-ray powder pattern (Cu Kα X-rays), based on a structure optimized by DFT (GGA-PBE).
Neutral-atom scattering factors, no anomalous dispersion.

Largest 10 diffraction maxima, in order of rising 2θ, 10 to 90 degrees two-theta:
| d_spacing | 2θ/deg | I (rel.) |
| --- | --- | --- |
| 2.877 | 31.09 | 30 |
| 2.581 | 34.75 | 30 |
| 2.456 | 36.59 | 46 |
| 2.428 | 37.02 | 100 |
| 2.264 | 39.81 | 26 |
| 2.242 | 40.21 | 34 |
| 1.863 | 48.90 | 23 |
| 1.537 | 60.20 | 14 |
| 1.484 | 62.59 | 19 |
| 1.456 | 63.96 | 13 |

Structure:
```
Pm3Ge2Rh5
1.0
10.125 0.000 0.000
0.000 10.125 0.000
0.000 0.000 3.725
Pm Ge Rh
6 4 10
Direct
0.000 0.000 0.000
0.174 0.326 0.000
0.326 0.826 0.000
0.500 0.500 0.000
0.674 0.174 0.000
0.826 0.674 0.000
0.122 0.622 0.000
0.378 0.122 0.000
0.622 0.878 0.000
0.878 0.378 0.000
0.000 0.500 0.500
0.070 0.779 0.500
0.221 0.070 0.500
0.279 0.570 0.500
0.430 0.279 0.500
0.500 0.000 0.500
0.570 0.721 0.500
0.721 0.430 0.500
0.779 0.930 0.500
0.930 0.221 0.500
```


(2)
Pm3Si2GeRh9: simulated X-ray powder pattern (Cu Kα X-rays), based on a structure optimized by DFT (GGA-PBE).
Neutral-atom scattering factors, no anomalous dispersion.

Largest 10 diffraction maxima, in order of rising 2θ, 10 to 90 degrees two-theta:
| d_spacing | 2θ/deg | I (rel.) |
| --- | --- | --- |
| 2.618 | 34.26 | 100 |
| 2.602 | 34.46 | 33 |
| 2.264 | 39.82 | 96 |
| 1.604 | 57.45 | 32 |
| 1.597 | 57.73 | 32 |
| 1.368 | 68.62 | 13 |
| 1.366 | 68.74 | 25 |
| 1.361 | 68.99 | 13 |
| 1.309 | 72.18 | 16 |
| 1.132 | 85.87 | 10 |

Structure:
```
Pm3Si2GeRh9
1.0
6.416 0.000 0.000
-3.208 5.557 0.000
0.000 0.000 7.807
Pm Si Ge Rh
3 2 1 9
Direct
0.000 0.000 0.000
0.333 0.667 0.666
0.667 0.333 0.334
0.333 0.667 0.160
0.667 0.333 0.840
0.000 0.000 0.500
0.000 0.500 0.000
0.172 0.344 0.332
0.172 0.828 0.332
0.344 0.172 0.668
0.500 0.000 0.000
0.500 0.500 0.000
0.656 0.828 0.332
0.828 0.172 0.668
0.828 0.656 0.668
```


(3)
PmSiGeRh2: simulated X-ray powder pattern (Cu Kα X-rays), based on a structure optimized by DFT (GGA-PBE).
Neutral-atom scattering factors, no anomalous dispersion.

Largest 10 diffraction maxima, in order of rising 2θ, 10 to 90 degrees two-theta:
| d_spacing | 2θ/deg | I (rel.) |
| --- | --- | --- |
| 6.481 | 13.66 | 95 |
| 3.491 | 25.52 | 20 |
| 2.670 | 33.57 | 100 |
| 2.552 | 35.16 | 36 |
| 2.173 | 41.56 | 61 |
| 2.072 | 43.69 | 49 |
| 1.973 | 45.99 | 18 |
| 1.609 | 57.28 | 17 |
| 1.284 | 73.78 | 20 |
| 1.215 | 78.79 | 18 |

Structure:
```
PmSiGeRh2
1.0
4.143 0.000 0.000
0.000 4.143 0.000
0.000 0.000 6.481
Pm Si Ge Rh
1 1 1 2
Direct
0.000 0.000 0.000
0.000 0.000 0.542
0.500 0.500 0.152
0.000 0.500 0.368
0.500 0.000 0.368
```


(4)
TbPmGeRh: simulated X-ray powder pattern (Cu Kα X-rays), based on a structure optimized by DFT (GGA-PBE).
Neutral-atom scattering factors, no anomalous dispersion.

Largest 10 diffraction maxima, in order of rising 2θ, 10 to 90 degrees two-theta:
| d_spacing | 2θ/deg | I (rel.) |
| --- | --- | --- |
____________

Holy Ring (enchanted Sacred ring)(note: Sacred ring is the plain silver looking one)
a) +3 prayer, +1 armor
b) Enchanted by Brother Jered (Monastery West of Edgeville)

Unholy Ring (enchanted Sacred ring)
a. +1 weaponpower, +1 prayer, +1 armor
b. Enchanted by Evil Dan (Varrock)

Obsidian Ring (enchanted Black ring)
a. +2 armor, +2 weaponaim
b. Enchanted by Thormac (South of Seers)

The respective NPCs will require 1,000,000 coins to permanently enchant the ring.
The rings have no requirements, with the exception of the Dragonslayer and Demonslayer rings which require completing the quests of the same name to wield. All rings are p2p items. We hope you enjoy the changes to the game meta that these rings provide, as you will find the various uses of the twelve rings invaluable in various situations. All ring designs and attributes by Billy. Happy hunting for the elite ones!
RSCR Team System
This latest patch adds the highly-anticipated Team System to the world of rscrevolution Classic. With this system, player clans become intrinsic to the new meta of combat- and skill-based play. Aside from formally introducing your clan tag in-game, teams will cooperate to unlock benefits such as: team bank slots, team color for minimap dots, and team skilling levels which allows your team to skill beyond level 99.
First, create your team using the "Team manager" interface in the wrench menu. You can have up to ten members in your team/clan.

Your team tag will be visible to everyone with draw-names enabled! Also, the chat channel for team is ::t
You will immediately have access to a shared bank for your team, as well as to statistics including your team's win/loss ratio. Deathmatch interface to be released at a later date.

Talk to the Team Vendor in Edgeville to adjust the minimap dot and tag color of your team, for easier formations in the wilderness. The Team Vendor sells all upgrades for your team, which cost gold coins to implement.

Finally, the team system adds team skill levels, which unlock perks for your team. While your personal skill levels are capped at 99, your team's skill level starts at 1 and can go up to 255, with each member's activity adding toward the team's skill XP. Perks start at level-80 in the following skills, with more perks to be added:

For example, at lvl-80 fishing, team members will have a chance of noted items.
Take care when creating your team and choosing your name, because if you disband your clan your team bank and XP will disappear!
Tweaks & fixes
Please note the following changes and fixes:
New statistics recording system for players to be used for:- NPC Kill count
- Failed and successful catches in wilderness
- More to come
-Fixed cooking bread dough message error
-Replicated Spear Attributes
-Rune Large smithing requires lvl 92 instead of 93
-Cannon balls now smelt batched
-Iban Blast p2p-only
-Replicated Oyster Pearl Bolts
-Added Oyster Pearl Bolts to crossbows
-Removed fish from end of fatigued message bug
-Misc. grammar corrections
-Fixed text issues with catching trash with big net
-Fly Trap object replicated
RSCRevolution is a living version of rscrevolution Classic so we're always refining our vision for revolutionary new content. Have fun creating your teams and collecting the new rings!
See you in-game,
Billy, n0m, Mod Uncle and the RSCR Team